Join the new
era of Wi-Fi

Galgus provides AI-enriched Wi-Fi networks automatically optimized, ensuring the best connectivity for all users in any environment. Additionally, with Galgus Connect, we offer 5G Wi-Fi convergence to also improve coverage in scenarios of high network saturation.

We are your best strategic ally for your Wi-Fi going far beyond a good connection. We provide highly reliable location analytics to facilitate the decision-making process offering the best user experience, both physically and digitally.

Unleash The
Value of WiFi

Galgus amplifies the value that Wi-Fi technology can provide your business, with user experience at the heart of the strategy, by offering intelligent, self-optimized and cloud-integrated networks.

Unleash The
Value of WiFi

Galgus unleashes the value that Wi-Fi technology can bring to your business with user experience as its core, equipping you with cloud, intelligent and self-optimized networks. 

Wi-Fi enriched by AI and high-precision analytics for your business, destination or institution.

¿Cuáles son los principales retos que ayuda a resolver
Galgus Location Analytics?

Nuestra analítica de localización y presencia tiene un gran valor a la hora de que empresas e instituciones públicas afronten algunos de sus desafíos más importantes de cara a optimizar sus procesos y a ofrecer la mejor experiencia posible a clientes y ciudadanos.

Seguridad ciudadana

Agiliza la gestión de emergencias, así como facilita la vigilancia de zonas sensibles y/o restringidas, permitiendo alertar a las autoridades en tiempo real.

Control de aglomeraciones

Permite conocer el comportamiento de grandes masas de personas para poder dirigirlas de forma que se optimice la experiencia y se incremente la seguridad.

Optimización de recursos

Conocer los hábitos de usuarios y ciudadanos abre las puertas a una gestión más eficiente de los recursos materiales y humanos de empresas y administraciones.

Ofrecer la mejor experiencia

Location Analytics hace posible conocer con certeza las preferencias de las personas. Con esta información es más fácil dar forma a una oferta y a servicios adaptados a estas, así como reactivar la economía en ciudades y municipios.

Gestión de eventos masivos

Celebraciones, fiestas populares, acontecimientos deportivos y un sinfín de eventos ven mejorada su gestión gracias a la analítica de localización y presencia de Galgus.

Incrementar la productividad

Los entornos industriales y manufactureros pueden verse beneficiados, logrando una distribución de espacios y un diseño de operaciones más ajustada a la realidad de la planta.

¿Qué beneficios te aporta nuestro Wi-Fi potenciado con IA?

Son muchos los desafíos actuales para ofrecer a los usuarios una experiencia de conexión fluida, robusta y segura. Comprueba cómo desde Galgus les damos solución.

Máximo rendimiento en entornos con alta densidad de conexiones

Ofrecemos una conexión Wi-Fi de calidad en escenarios donde hay un alto número de dispositivos conectados simultáneamente a la red.

-- Inserted here: calculated molecules --
/*
Formula: C16H36Br4O6
Source: OMol25
Level of theory: ωB97M-V/def2-TZVPD

Structure (XYZ):
```
62
Properties=species:S:1:pos:R:3:forces:R:3
C 2.68576 1.91019 -5.93949 -0.1 0.4 0.1
O 1.65724 2.79202 -5.56019 -0.5 1.6 1.0
C 1.53420 3.38158 -4.22865 0.7 -0.5 0.6
C 2.69867 4.23104 -3.63453 1.3 -0.9 -2.1
O 3.82135 3.47455 -3.16476 -0.2 -1.0 1.2
C 3.67805 2.74483 -1.93442 -0.9 0.6 0.0
C 3.19575 3.63929 -0.75740 -0.1 -0.3 -0.5
O 1.78062 3.94981 -0.81662 0.7 0.3 0.3
C 1.38451 4.70324 0.33201 -0.3 0.0 -0.2
H 2.75080 1.05894 -5.26182 0.2 -0.2 0.0
H 3.64987 2.40620 -6.05153 0.2 0.0 0.4
H 2.39700 1.60927 -6.94655 0.0 -0.4 0.1
H 1.38683 2.58349 -3.50105 -0.4 -0.3 0.0
H 0.64226 4.00693 -4.26706 0.0 -0.2 -0.2
H 2.49161 5.02305 -2.91484 -0.7 -0.1 -0.3
H 3.21550 4.60190 -4.51966 -0.5 1.0 -0.1
H 4.66182 2.30556 -1.76913 0.1 0.3 0.4
H 3.00693 1.89012 -2.01908 -0.3 0.0 -0.2
H 3.80174 4.54306 -0.82111 -0.1 0.4 0.2
H 3.36635 3.17601 0.21440 0.3 -0.3 0.0
H 1.36577 4.09627 1.23717 0.1 -0.2 0.1
H 0.37682 5.09638 0.19749 -0.1 -0.3 -0.3
H 1.99127 5.58467 0.53943 0.5 0.0 -0.3
C 0.74760 -3.20996 4.84268 1.0 -0.3 -0.9
O 1.60680 -3.42423 3.68591 -0.2 1.3 0.1
C 1.08030 -4.06002 2.54453 -1.5 -0.5 0.4
C 0.05364 -3.22951 1.68479 0.9 -0.3 1.8
O -1.02544 -2.69508 2.44903 -0.6 -0.7 0.4
C -2.00887 -3.63856 2.99584 0.6 1.4 -0.6
C -3.04401 -2.79048 3.70234 -0.3 0.7 -0.7
O -3.72044 -1.85943 2.84373 0.4 0.8 1.2
C -4.55218 -2.31325 1.80616 0.6 -0.5 0.1
H 0.00094 -2.41688 4.80229 0.1 0.1 -0.7
H 1.47435 -2.89803 5.59277 -0.3 -0.5 0.3
H 0.23165 -4.15091 5.03374 0.1 -0.1 0.5
H 0.62865 -4.97686 2.92336 -0.5 -0.4 -0.2
H 1.90361 -4.42417 1.92999 0.2 0.5 -0.1
H -0.33089 -3.80845 0.84510 0.3 0.0 -0.2
H 0.64605 -2.35933 1.40205 -0.3 0.1 -0.6
H -1.54523 -4.27077 3.75310 0.0 -0.4 -0.2
H -2.47898 -4.19074 2.18209 0.2 -0.4 -0.1
H -2.51928 -2.19050 4.44583 0.0 0.3 -0.1
H -3.74751 -3.38493 4.28527 -0.3 -0.4 -0.3
H -3.89682 -2.61006 0.98732 -0.4 -0.6 -0.2
H -5.19362 -1.52336 1.41534 0.2 0.3 0.4
H -5.19964 -3.10751 2.17770 -0.1 -0.4 -0.3
Br -5.61158 -2.04856 -1.92878 1.6 0.8 -0.4
C -3.81113 -1.21148 -2.52508 0.2 -1.4 1.1
C -2.62774 -1.49112 -1.48996 -1.4 -0.1 -0.5
Br -2.36726 -3.40844 -1.12932 -0.1 0.3 -0.4
H -4.05534 -0.16782 -2.72318 0.3 -0.1 0.4
H -3.59517 -1.71339 -3.46825 -0.1 0.0 0.2
H -2.81115 -1.08667 -0.49453 -0.1 0.2 -0.3
H -1.64869 -1.18091 -1.85513 -0.4 0.3 -0.2
Br -0.67771 1.83434 3.12273 0.0 -0.5 -0.7
C -0.34843 0.53043 1.65693 0.5 -1.0 0.8
C 0.29868 1.22546 0.50959 -0.5 0.7 0.1
Br 0.82082 -0.07900 -0.89214 -0.2 0.7 0.6
H -1.26545 0.00587 1.38856 -0.1 0.3 0.2
H 0.33167 -0.21148 2.07541 -0.2 0.1 0.2
H 1.16694 1.79047 0.84869 0.1 -0.3 -0.4
H -0.44983 1.93696 0.16089 0.4 0.0 -0.8
```
Forces are in eV/Å.

Its charge is 0. For the calculated total energy, the calculation gives -309626.159 eV. Its SMILES is COCCOCCOC.COCCOCCOC.BrCCBr.BrCCBr. The calculation puts the HOMO energy at -9.3 eV.
*/
-- End of the calculated molecules --

Adaptación de parámetros
en tiempo real

Adapta los parámetros de Wi-Fi en tiempo real en función de los patrones de tráfico de red, asegurando que cada dispositivo tenga acceso de calidad.

Consigue un mayor control de la red

Permite a los administradores monitorear y controlar la red tiempo real. Proporcionando información detallada del uso y rendimiento.

Reducción de costes en infraestructura

Elimina la necesidad de costosos controladores centralizados, lo que reduce los costos de infraestructura y lo hace más rentable que las redes Wi-Fi tradicionales.

Minimiza los puntos críticos

Con inteligencia descentralizada, elimina cuellos de botella y retrasos en la comunicación entre APs, reduciendo el riesgo de puntos críticos de falla en la red.

Escalabilidad y fácil despliegue

Tecnología diseñada para escalar con la red. Fácil de implementar, requiere cambios mínimos de hardware y software.

Greater connectivity, tangible ROI

Here are some examples of our clients’ ROI,
find out more in our success stories!


Longer lifespan of your Apps
X 0


International Patents


Detecting devices in the range of Galgus WiFi networks
0 %


Centralized Management
0 %

Our products

Discover everything Wi-Fi networks can do when enriched with AI.

Main sectors
that benefit from our technology

Despite Galgus’ Location & Presence Analytics being completely transversal, we can identify a series of verticals for which our technology is a key piece.

Smart Cities

We offer the most accurate solution on the market to understand the real behavior of residents and visitors.


Customers are looking for the best service and the best added value. Offer them a connection that meets their demands.


We offer passengers the best connectivity, whether during the journey itself or at the station or airport.


We adapt to each environment to provide a fluid connection, reliable in extreme environmental conditions.


We optimize the management of healthcare resources, facilitating the work of professionals and the patient experience.

Discover how Galgus can help multiply the value of your business

Get to know

Here is the equipment that will make it possible for you to enjoy our analytics and presence solution.

Indoor access points

Outdoor access points

Learn further about our Hardware

Read our success stories

Learn first-hand how we have implemented Galgus in different sectors:

wifi in stadiums

El Real Betis Balompié Maximizes Its Connectivity Capabilities With Galgus CHT Technology

Real Betis Balompié boasts one of the largest football stadiums in Spain. Through CHT (Cognitive Hotspot Technology), they have been able to enhance the performance and stability of their network.

Pilgrimage of El Rocío

Location & Presence Analytics for Large Flows of People

Galgus monitored the presence and behavior of the participants of one of the most crowded events at national level, such as the pilgrimage of El Rocío.

Las Rozas

Las Rozas: Monitoring of Restricted Areas

The project entrusted to us by the Las Rozas Local Police, and which we carried out together with our partner SmartIT, was to monitor the presence of people in a restricted area during nighttime and alert for their evacuation in real time.

Success story

Wi-Fi connectivity and Location Analytics at the Junta de Andalucía headquarters

We are undertaking the largest Wi-Fi project in Europe and Location Analytics in the world, deploying our equipment and technology in more than 10,500 public buildings.


Connectivity and advanced analytics

With Galgus CHT technology, we are able to optimize the design of the network system, offering a 3D simulation to improve coverage, channels and the location of access points.

Adif manages to reduce its infrastructure costs by 34%, thanks to Galgus CHT technology.

New in Galgus

Galgus Connect: Wi-Fi/5G Convergence

Galgus Connect is our newest solution that allows the user to automatically switch between phone and Wi-Fi networks depending on which one offers a better voice and data communication experience.

A especially valuable innovation for environments where the 5G or 4G network is particularly saturated or where coverage is very poor.

¿Why Galgus?

Connectivity, security, innovation

What do our clients say? The most relevant experts in the market and your technological partners.


Better customer experience for your clients

Find out how customers like you have been able to respond to the great challenge of having robust connectivity focused on user experience.


Providing reliable solutions

Find out what market experts have to say about Galgus. In addition, Galgus is recognized by Gartner as a technology provider in the Indoor Location category.


Boost your business growth

You have available a network of local, scalable partners, willing and trained to transform your connectivity to another level of maturity.

Trust Galgus


We are very grateful and proud that our work to help companies and administrations improve the quality and security of their Internet connections are recognized by many national and international institutions, as well as by our clients and partners.

We are members of the Wi-Fi Alliance and have its CERTIFIED Passpoint seal, which guarantees top security and interoperability of our technology.

Gartner names Galgus as one of the top global providers of Location Analytics technology in the market and is featured in its Market Guide.

Galgus was awarded “High Performer” by G2 in the 2024 Summer Report. A platform that rewards the best technological solutions based on the user experience of the clients themselves.

Users love Galgus

Galgus’ user experience stands out with 9 badges in G2 Summer reports based on customer feedback.

Empowering Infraestructure & Operations Leaders to transform the user experience

Transform your connectivity, here and now

We are here to help you build a better user experience, streamline management and monitoring of your connectivity.

How to start?

Focus on what matter, the customer experience

By 2025, 50% of organizations will be using cloud-based network management platforms as the main method for setting and supporting their networks. Currently, their usage is less than 15%, according to Gartner.

The reality today is that leaders in communications infrastructure have obsolete solutions focused on network speed and availability, a commodity for our customers. At Galgus we focus on what really matters, the customer experience.

We empower you to transfomr
your customer's experience

Forget network availability issues. Start developing your strategy to a better customer experience.

Barceló Sevilla

Here, we share the case of the Barceló Hotel Group, in which they explain how they developed more than 200 access points throughout the hotel to improve the quality of service to their customers.

Real Betis

Discover the Real Betis Balompié success story told by Antonio Jiménez – CIO of the club – where the challenge was to provide a network that was able to self-optimise and scale appropriately.

Comfica –

We tell you about the case of Comfica – Adif, where the challenge was to create a Wi-Fi service in Barcelona Sants and Zaragoza stations and reduce 50% of the costs in APs.

Discover our success stories

Connect with your clients & users with no limits


An experience that will meet your expectations and needs, at any moment, time and location.



Availability, Including WiFi 6


Times more
x 0

Reduce TCO by

centrally managed through software
0 %


Times longer the life
of your APs
X 0

Robust and Secure WiFi, With Advanced Analaytics

A Cloud Platform capable of managing your network remotely, with real time analytics, and the highest security standards.

A solution tailored to suit each and every context


We offer a wide range of network devices, software and professional services to suit the needs of modern Wi-Fi infrastructures.


Indoor APs

Indoor APs

The most popular with our customers. Optimises resources in real time and provides analytics, ideal for different indoor environments with a high density of users and use, such as hotels, hospitals, airports, stadiums, schools, among others.
More information

Outdoor APs

Outdoor APs

The perfect choice if you’re looking for an omni-directional outdoor wireless network. Thanks to its robust aluminium package, it’s resistant to rain, dust and sunlight. Perfect for any outdoor environment with high user density and use
More information



With our switches you can create a robust, reliable and safe structure for your network. Our switches are suitable for any architecture and can be used to provide connectivity to your access points or to integrate with our Cloud Manager.
More information



Get connectivity wherever you need it. Whether you're on a bus, on a boat or in a hotel in the mountains, you'll have WiFi with our routers.
More information

What’s new at Galgus

What's new in Wi-Fi 6 and what benefits does it offer?

The differential value of WiFi 6 lies in the increased efficiency and maintenance of connections even in highly congested networks, resulting in an overall improvement in the user experience. A game changer in IoT scenarios or in diverse indoor or outdoor environments.

What’s New in Galgus

What's new in Wi-Fi 6 and what are its advantages?

The differential value of WiFi 6 lies in the increased efficiency and maintenance of connections even in highly congested networks, resulting in an overall improvement in the user experience. A game changer in IoT scenarios or in diverse indoor or outdoor environments.

Why Galgus?


They tell you. Our customers, the best market experts and your tech partners.


Use cases

Improve your customers' experience

Find out how other customers have been able to tackle the great challenge of having a robust connectivity focused on user experience.


Provides reliable solutions

Find out what market experts think about Galgus. Galgus is also recognised by Gartner as a technology provider in the Indoor Location category.


Boost the growth of your business

You have at your disposal a network of local, scalable, willing and trained partners to transform your connectivity to another level of maturity.

Galgus is recognized as
a Gartner Partner

Check out our awards

We are very grateful and proud that our efforts to help companies and administrations improve the quality and security of their Internet connections are recognized by various national and international institutions.

We are proud members of the Wi-Fi Alliance and we have the CERTIFIED Passpoint seal, which guarantees maximum security and interoperability.

Gartner names and features Galgus in Market Guide as one of the world's leading providers of Location Analytics technology.

Galgus was named a "High Performer" by G2 in the Winter Reports of 2022. A platform that rewards the best technological solutions according to the user experience and the clients themselves.

UsersLove Galgus

Galgus’User Experience Excels with 10 Badges in G2 Winter Reports based on our clients reviews.

Transform your connectivity, right here, right now

We’re here to help you create a better user experience, and streamline the management and monitoring of your connectivity.


Want to get started?